Divyanshu Bhargava

Lead Mobile Developer at Securrency

Talk Title

Scaling Server Driven UI with Mirai






15:20 > 40 min


on Twitter

Apps have come a long way since the launch of PlayStore (Android market) in 2008. In traditional apps, the data is driven by the backend, and the UI is driven by the client (web, iOS, Android). As the app grows they become more personalized, dynamic, and complex. Sending updates and bug fixes to these apps becomes a challenge. What if the client doesn’t need to know what they were displaying? What if we could control the UI directly from the server?

That’s what server-driven UI essentially does. SDUI is a technique to leverage the servers to build the user interface for their mobile apps. In SDUI the API tells the client what component to be rendered. This opens up new possibilities and addresses some fundamental challenges with native mobile app development today.

Mirai is a Server-Driven UI (SDUI) library for Flutter which we build at Securrency. Mirai allows you to build beautiful cross-platform applications with JSON in real time.

(Calculated crystals, kept here for reference)
(1)
# BaH2Cl2O
Simulated X-ray diffraction stick pattern, a wavelength of 1.5418 Å. Input: DFT lattice parameters and positions (GGA-PBE).
No peak broadening, texture or thermal motion is included.

Principal peaks in the range 10° ≤ 2θ ≤ 90°, sorted by position:
- 2θ 12.57, rel. 342
- 2θ 15.92, rel. 549
- 2θ 21.11, rel. 583
- 2θ 22.91, rel. 741
- 2θ 28.60, rel. 899
- 2θ 31.10, rel. 326
- 2θ 35.35, rel. 325
- 2θ 36.75, rel. 1000
- 2θ 37.65, rel. 491
- 2θ 38.72, rel. 380

```
BaH2Cl2O
1.0
11.1367 0.0000 0.0000
0.0000 4.6514 0.0000
0.0000 0.0000 9.0929
Ba H Cl O
4 8 8 4
Direct
0.1871 0.2500 0.1065 Ba
0.3129 0.7500 0.6065 Ba
0.6871 0.2500 0.3935 Ba
0.8129 0.7500 0.8935 Ba
0.0982 0.2500 0.6644 H
0.1307 0.2500 0.5005 H
0.3693 0.7500 0.0005 H
0.4018 0.7500 0.1644 H
0.5982 0.2500 0.8356 H
0.6307 0.2500 0.9995 H
0.8693 0.7500 0.4995 H
0.9018 0.7500 0.3356 H
0.1021 0.7500 0.8773 Cl
0.1184 0.7500 0.3371 Cl
0.3816 0.2500 0.8371 Cl
0.3979 0.2500 0.3773 Cl
0.6021 0.7500 0.6227 Cl
0.6184 0.7500 0.1629 Cl
0.8816 0.2500 0.6629 Cl
0.8979 0.2500 0.1227 Cl
0.1676 0.2500 0.5983 O
0.3324 0.7500 0.0983 O
0.6676 0.2500 0.9017 O
0.8324 0.7500 0.4017 O
```

---

(2)
# LiTeH12N4
Simulated X-ray diffraction stick pattern, a wavelength of 1.5418 Å. Input: DFT lattice parameters and positions (GGA-PBE).
No peak broadening, texture or thermal motion is included.

Principal peaks in the range 10° ≤ 2θ ≤ 90°, sorted by position:
- 2θ 12.38, rel. 1000
- 2θ 14.22, rel. 817
- 2θ 17.49, rel. 678
- 2θ 19.17, rel. 561
- 2θ 20.20, rel. 698
- 2θ 29.24, rel. 517
- 2θ 29.59, rel. 548
- 2θ 29.89, rel. 624
- 2θ 30.54, rel. 548
- 2θ 31.55, rel. 550

```
LiTeH12N4
1.0
6.8585 0.0000 0.0000
0.3974 7.3453 0.0000
3.4187 1.8167 7.7327
Li Te H N
2 2 24 8
Direct
0.1998 0.4043 0.2233 Li
0.8002 0.5957 0.7767 Li
0.3667 0.0445 0.6574 Te
0.6333 0.9555 0.3426 Te
0.0034 0.7177 0.1878 H
0.0069 0.6287 0.0313 H
0.0321 0.2153 0.5344 H
0.1183 0.0992 0.1514 H
0.1269 0.6096 0.4740 H
0.1437 0.7895 0.5519 H
0.2159 0.7451 0.0059 H
0.3332 0.1859 0.9794 H
0.3527 0.0923 0.1650 H
0.4020 0.5122 0.8480 H
0.4635 0.6037 0.2990 H
0.4805 0.3744 0.3546 H
0.5195 0.6256 0.6454 H
0.5365 0.3963 0.7010 H
0.5980 0.4878 0.1520 H
0.6473 0.9077 0.8350 H
0.6668 0.8141 0.0206 H
0.7841 0.2549 0.9941 H
0.8563 0.2105 0.4481 H
0.8731 0.3904 0.5260 H
0.8817 0.9008 0.8486 H
0.9679 0.7847 0.4656 H
0.9931 0.3713 0.9687 H
0.9966 0.2823 0.8122 H
0.0381 0.7038 0.5417 N
0.0986 0.6490 0.0951 N
0.2587 0.1740 0.1107 N
0.4624 0.4809 0.2613 N
0.5376 0.5191 0.7387 N
0.7413 0.8260 0.8893 N
0.9014 0.3510 0.9049 N
0.9619 0.2962 0.4583 N
```

---

(3)
# YMg2
Simulated X-ray diffraction stick pattern, a wavelength of 1.5418 Å. Input: DFT lattice parameters and positions (GGA-PBE).
No peak broadening, texture or thermal motion is included.

Principal peaks in the range 10° ≤ 2θ ≤ 90°, sorted by position:
- 2θ 17.00, rel. 263
- 2θ 17.29, rel. 166
- 2θ 24.34, rel. 190
- 2θ 30.18, rel. 377
- 2θ 34.39, rel. 216
- 2θ 34.84, rel. 1000
- 2θ 46.39, rel. 222
(Back to the text)

In this talk, we are going to understand what Server-Driven UI is. The Story behind Mirai, challenges, and how it helps you to build SDUI apps in Flutter. And How Mirai will benefit your business and reduce your Time to Market.

Talk Title

The joy of Functional Programming in Dart

[Inserted here: materials data]
........
Entry 1:
For ZrBeCr4, a cell relaxed with PBE gives the calculated X-ray powder pattern in this record (Cu Kα).
Peak positions follow from Bragg's law for the DFT cell and can differ from measured ones.

Principal peaks in the range 2θ from 10° to 80°, in order of rising 2θ:
| Position (°2θ) | I_rel |
| --- | --- |
| 22.43 | 28 |
| 25.96 | 25 |
| 37.04 | 23 |
| 43.73 | 100 |
| 45.79 | 44 |
| 66.76 | 8 |
| 71.40 | 28 |
| 78.88 | 21 |

Crystal structure
```
data_ZrBeCr4
_chemical_formula_sum 'Zr1 Be1 Cr4'
_space_group_name_H-M_alt 'P 1'
_space_group_IT_number 1
_cell_length_a 4.854
_cell_length_b 4.854
_cell_length_c 4.854
_cell_angle_alpha 60.00
_cell_angle_beta 60.00
_cell_angle_gamma 60.00
loop_
_space_group_symop_operation_xyz
'x,y,z'
loop_
_atom_site_label
_atom_site_type_symbol
_atom_site_fract_x
_atom_site_fract_y
_atom_site_fract_z
Zr1 Zr 0.000 0.000 0.000
Be1 Be 0.750 0.750 0.750
Cr1 Cr 0.377 0.377 0.377
Cr2 Cr 0.377 0.377 0.870
Cr3 Cr 0.377 0.870 0.377
Cr4 Cr 0.870 0.377 0.377
```

Entry 2:
For Zn2GaCuSe4, a cell relaxed with PBE gives the calculated X-ray powder pattern in this record (Cu Kα).
Peak positions follow from Bragg's law for the DFT cell and can differ from measured ones.

Principal peaks in the range 2θ from 10° to 80°, in order of rising 2θ:
| Position (°2θ) | I_rel |
| --- | --- |
| 26.93 | 100 |
| 40.92 | 1 |
| 44.70 | 72 |
| 46.72 | 2 |
| 52.96 | 42 |
| 65.07 | 11 |
| 71.72 | 13 |
| 71.83 | 3 |

Crystal structure
```
data_Zn2GaCuSe4
_chemical_formula_sum 'Zn2 Ga1 Cu1 Se4'
_space_group_name_H-M_alt 'P 1'
_space_group_IT_number 1
_cell_length_a 13.432
_cell_length_b 13.432
_cell_length_c 13.432
_cell_angle_alpha 17.37
_cell_angle_beta 17.37
_cell_angle_gamma 17.37
loop_
_space_group_symop_operation_xyz
'x,y,z'
loop_
_atom_site_label
_atom_site_type_symbol
_atom_site_fract_x
_atom_site_fract_y
_atom_site_fract_z
Zn1 Zn 0.000 0.000 0.000
Zn2 Zn 0.249 0.249 0.249
Ga1 Ga 0.497 0.497 0.497
Cu1 Cu 0.740 0.740 0.740
Se1 Se 0.061 0.061 0.061
Se2 Se 0.310 0.310 0.310
Se3 Se 0.560 0.560 0.560
Se4 Se 0.805 0.805 0.805
```

Entry 3:
For CsNa3Pb2, a cell relaxed with PBE gives the calculated X-ray powder pattern in this record (Cu Kα).
Peak positions follow from Bragg's law for the DFT cell and can differ from measured ones.

Principal peaks in the range 2θ from 10° to 80°, in order of rising 2θ:
| Position (°2θ) | I_rel |
| --- | --- |
| 13.99 | 72 |
| 16.39 | 81 |
| 21.62 | 100 |
| 29.27 | 91 |
| 30.53 | 75 |
| 33.72 | 84 |
| 36.12 | 53 |
| 41.99 | 67 |

Crystal structure
```
data_CsNa3Pb2
_chemical_formula_sum 'Cs2 Na6 Pb4'
_space_group_name_H-M_alt 'P 1'
_space_group_IT_number 1
_cell_length_a 8.325
_cell_length_b 8.325
_cell_length_c 6.967
_cell_angle_alpha 90.00
_cell_angle_beta 90.00
_cell_angle_gamma 81.02
loop_
_space_group_symop_operation_xyz
'x,y,z'
loop_
_atom_site_label
_atom_site_type_symbol
_atom_site_fract_x
_atom_site_fract_y
_atom_site_fract_z
Cs1 Cs 0.152 0.848 0.750
Cs2 Cs 0.848 0.152 0.250
Na1 Na 0.039 0.559 0.250
........





**Here the article breaks off for crystal structures:**
'''
Theoretical powder X-ray diffraction pattern
Compound: TcAgPd14
Radiation: λ = 1.5418 Å (Cu Kα)
Structure: a crystal structure in Alexandria, relaxed with PBE

Largest 8 diffraction maxima, in order of rising 2θ, 15° ≤ 2θ ≤ 90°:
- d = 2.281 Å, 2θ = 39.50°, rel. 100
- d = 1.982 Å, 2θ = 45.77°, rel. 33
- d = 1.962 Å, 2θ = 46.27°, rel. 16
- d = 1.402 Å, 2θ = 66.73°, rel. 10
- d = 1.394 Å, 2θ = 67.12°, rel. 20
- d = 1.194 Å, 2θ = 80.41°, rel. 24
- d = 1.185 Å, 2θ = 81.14°, rel. 12
- d = 1.141 Å, 2θ = 85.05°, rel. 10

```
data_TcAgPd14
_chemical_formula_sum 'Tc1 Ag1 Pd14'
_cell_length_a 5.607
_cell_length_b 5.607
_cell_length_c 7.848
_cell_angle_alpha 90.00
_cell_angle_beta 90.00
_cell_angle_gamma 90.00
_space_group_name_H-M_alt 'P 4/m m m'
_space_group_IT_number 123
_space_group_name_Hall '-P 4 2'
loop_
_atom_site_label
_atom_site_type_symbol
_atom_site_fract_x
_atom_site_fract_y
_atom_site_fract_z
_atom_site_occupancy
Tc1 Tc 0.000 0.000 0.000 1
Ag1 Ag 0.500 0.500 0.000 1
Pd1 Pd 0.000 0.000 0.500 1
Pd2 Pd 0.000 0.500 0.000 1
Pd3 Pd 0.000 0.500 0.500 1
Pd4 Pd 0.245 0.245 0.247 1
Pd5 Pd 0.500 0.500 0.500 1
```

----------

(1)
Structure and theoretical X-ray powder pattern of BS4Cl (DFT lattice parameters and positions (GGA-PBE); Cu Ka).
Lines closer than 0.1° are merged.

```
data_BS4Cl
_symmetry_space_group_name_H-M 'I 41/a m d'
_symmetry_Int_Tables_number 141
_cell_length_a 6.5396
_cell_length_b 6.5396
_cell_length_c 14.5205
_cell_angle_alpha 90.00
_cell_angle_beta 90.00
_cell_angle_gamma 90.00
loop_
_symmetry_equiv_pos_as_xyz
'x,y,z'
'-x,-y,-z'
'-y+1/4,x+3/4,z+1/4'
'y+1/4,-x+3/4,-z+1/4'
'-x+1/2,-y,z+1/2'
'x+1/2,y,-z+1/2'
'y+1/4,-x+1/4,z+3/4'
'-y+1/4,x+1/4,-z+3/4'
'x,-y,-z'
'-x,y,z'
'-y+1/4,-x+1/4,-z+3/4'
'y+1/4,x+1/4,z+3/4'
'-x+1/2,y,-z+1/2'
'x+1/2,-y,z+1/2'
'y+1/4,x+3/4,-z+1/4'
'-y+1/4,-x+3/4,z+1/4'
'x+1/2,y+1/2,z+1/2'
'-x+1/2,-y+1/2,-z+1/2'
'-y+3/4,x+1/4,z+3/4'
'y+3/4,-x+1/4,-z+3/4'
'-x,-y+1/2,z'
'x,y+1/2,-z'
'y+3/4,-x+3/4,z+1/4'
'-y+3/4,x+3/4,-z+1/4'
'x+1/2,-y+1/2,-z+1/2'
'-x+1/2,y+1/2,z+1/2'
'-y+3/4,-x+3/4,-z+1/4'
'y+3/4,x+3/4,z+1/4'
'-x,y+1/2,-z'
'x,-y+1/2,z'
'y+3/4,x+1/4,-z+3/4'
'-y+3/4,-x+1/4,z+3/4'
loop_
_atom_site_label
_atom_site_type_symbol
_atom_site_fract_x
_atom_site_fract_y
_atom_site_fract_z
B1 B 0.0000 0.2500 0.3750
S1 S 0.0000 0.0147 0.5690
Cl1 Cl 0.0000 0.2500 0.8750
```

Top 8 peaks for 2θ = 10–80°, by intensity:
2θ/deg, intensity, h k l
31.2, 1000, 2 1 1
14.9, 847, 1 0 1
30.0, 620, 2 0 2
22.8, 567, 1 0 3
46.7, 271, 2 0 6
65.4, 199, 2 2 8
50.7, 184, 3 2 1
56.3, 169, 4 0 0


(2)
Structure and theoretical X-ray powder pattern of Sc4BCl6 (DFT lattice parameters and positions (GGA-PBE); Cu Ka).
Lines closer than 0.1° are merged.

```
data_Sc4BCl6
_symmetry_space_group_name_H-M 'P b a m'
_symmetry_Int_Tables_number 55
_cell_length_a 12.0574
_cell_length_b 12.2862
_cell_length_c 3.6084
_cell_angle_alpha 90.00
_cell_angle_beta 90.00
_cell_angle_gamma 90.00
loop_
_symmetry_equiv_pos_as_xyz
'x,y,z'
'-x,-y,-z'
'-x,-y,z'
'x,y,-z'
'''


16:20 > 40 min


on Twitter

Functional programming is a programming paradigm that has gained increasing popularity in recent years thanks to its ability to improve code quality, reduce bugs, and increase productivity. Luckily, Dart has a strong foundation in functional programming concepts such as higher-order functions, closures, and immutability.
In this talk, we will explore how to unlock the power of functional programming in Dart. We will start with an introduction to functional programming concepts and why they matter. And learn more about functional programming design patterns. We will then dive into how Dart supports functional programming and how to apply functional programming techniques to solve real-world problems. We will cover the core principles of functional programming, such as immutability, purity, and higher-order functions.
Finally, we will discuss the benefits of functional programming in Dart, such as improved code readability, easier debugging, error handling, and faster development time. We will also explore how to use Dart's functional programming libraries, such as the fpdart and dartz packages, to implement functional programming techniques in your code. We will also address common challenges developers may face when transitioning to functional programming and provide strategies to overcome them.
Whether you are new to functional programming or an experienced developer looking to improve your Dart skills, this talk will equip you with the knowledge and techniques to unlock the power of functional programming in Dart and take your coding skills to the next level.

Speaker Bio

Divyanshu Bhargava is leading the mobile engineering at Securrency. He is a Google Developer Expert in Flutter & Dart and an Organizer of Flutter Abu Dhabi & Dubai. His passion for building apps took him to mobile development, these days you’ll find him talking about Flutter and the future of tech. He is an open-source enthusiast and an avid tech blogger. When he is not coding you can find him kayaking, reading, traveling, or thinking about coding.
